(Source)
[1]
This entry pairs a crystal structure of Na4Ga3Ge3O16 with its theoretical powder XRD pattern. Radiation: Cu Kα X-rays. Structure: a cell relaxed with PBE.
Lines closer than 0.1° are merged.

Atomic structure:
a = 9.257 Å, b = 9.257 Å, c = 9.257 Å
α = 90.00°, β = 90.00°, γ = 90.00°
Space group P-43n (No. 218)
Inequivalent atoms, fractional coordinates:
Na  0.171  0.171  0.171 (multiplicity 8)
Ga  0.000  0.250  0.500 (multiplicity 6)
Ge  0.000  0.500  0.250 (multiplicity 6)
O  0.075  0.075  0.925 (multiplicity 8)
O  0.080  0.361  0.646 (multiplicity 24)

Peak list (8 most intense, 15 to 90 degrees two-theta, in order of falling intensity)
h k l	Position (°2θ)	Rel. int.
2 1 1	23.5	1000
2 2 2	33.5	640
3 1 0	30.5	340
3 2 1	36.3	319
4 4 0	56.2	301
6 2 2	67.1	228
4 3 1	50.3	202
5 3 0	58.1	191

---

[2]
This entry pairs a crystal structure of CuH18PdC4N4O11 with its theoretical powder XRD pattern. Radiation: Cu Kα X-rays. Structure: a cell relaxed with PBE.
Lines closer than 0.1° are merged.

Atomic structure:
a = 16.731 Å, b = 7.155 Å, c = 7.383 Å
α = 90.00°, β = 115.59°, γ = 90.00°
Space group C2 (No. 5)
Inequivalent atoms, fractional coordinates:
Cu  0.000  0.000  0.000 (multiplicity 2)
H  0.054  0.613  0.052 (multiplicity 4)
H  0.084  0.822  0.690 (multiplicity 4)
H  0.086  0.219  0.481 (multiplicity 4)
H  0.101  0.247  0.717 (multiplicity 4)
H  0.101  0.796  0.485 (multiplicity 4)
H  0.158  0.375  0.625 (multiplicity 4)
H  0.158  0.668  0.689 (multiplicity 4)
H  0.198  0.511  0.094 (multiplicity 4)
H  0.201  0.531  0.310 (multiplicity 4)
Pd  0.000  0.521  0.500 (multiplicity 2)
C  0.173  0.027  0.277 (multiplicity 4)
C  0.174  0.023  0.068 (multiplicity 4)
N  0.097  0.316  0.592 (multiplicity 4)
N  0.097  0.726  0.602 (multiplicity 4)
O  0.000  0.691  0.000 (multiplicity 2)
O  0.096  0.026  0.277 (multiplicity 4)
O  0.097  0.026  0.915 (multiplicity 4)
O  0.160  0.514  0.167 (multiplicity 4)
O  0.246  0.030  0.429 (multiplicity 4)
O  0.247  0.019  0.062 (multiplicity 4)

Peak list (8 most intense, 15 to 90 degrees two-theta, in order of falling intensity)
h k l	Position (°2θ)	Rel. int.
1 1 -1	17.3	1000
0 2 0	24.9	395
1 1 1	20.8	250
3 1 -1	21.0	236
2 0 -2	24.1	188
0 4 0	51.0	182
4 0 -2	27.0	149
0 0 2	26.8	144

---

[3]
This entry pairs a crystal structure of LaBiO4 with its theoretical powder XRD pattern. Radiation: Cu Kα X-rays. Structure: a cell relaxed with PBE.
Lines closer than 0.1° are merged.

Atomic structure:
a = 7.585 Å, b = 7.360 Å, c = 7.865 Å
α = 90.00°, β = 119.66°, γ = 90.00°
Space group P2_1/c (No. 14)
Inequivalent atoms, fractional coordinates:
La  0.139  0.157  0.275 (multiplicity 4)
Bi  0.328  0.693  0.231 (multiplicity 4)
O  0.060  0.663  0.582 (multiplicity 4)
O  0.174  0.011  0.777 (multiplicity 4)
O  0.310  0.630  0.958 (multiplicity 4)
O  0.369  0.249  0.142 (multiplicity 4)

Peak list (8 most intense, 15 to 90 degrees two-theta, in order of falling intensity)
h k l	Position (°2θ)	Rel. int.
2 1 -2	29.4	1000
0 0 2	26.1	959
0 2 1	27.5	934
2 1 0	29.7	844
2 3 -1	43.9	557
2 1 -4	47.9	525
0 2 0	24.2	516
0 2 3	46.9	350

---

[4]
This entry pairs a crystal structure of SrNdAl3O7 with its theoretical powder XRD pattern. Radiation: Cu Kα X-rays. Structure: a cell relaxed with PBE.
Lines closer than 0.1° are merged.

Atomic structure:
a = 11.175 Å, b = 11.222 Å, c = 5.241 Å
α = 90.00°, β = 90.00°, γ = 90.00°
Space group Cmm2 (No. 35)
Inequivalent atoms, fractional coordinates:
Sr  0.000  0.162  0.000 (multiplicity 4)
Nd  0.162  0.500  0.977 (multiplicity 4)
Al  0.000  0.359  0.450 (multiplicity 4)
Al  0.145  0.000  0.529 (multiplicity 4)
Al  0.250  0.250  0.492 (multiplicity 4)
O  0.000  0.000  0.654 (multiplicity 2)
O  0.000  0.370  0.784 (multiplicity 4)
O  0.000  0.500  0.295 (multiplicity 2)
O  0.126  0.293  0.301 (multiplicity 8)
O  0.153  0.000  0.197 (multiplicity 4)
O  0.216  0.123  0.686 (multiplicity 8)

Peak list (8 most intense, 15 to 90 degrees two-theta, in order of falling intensity)

(Exercise)
What is needed: return the whole of the rows above exactly.

(Here it is)
[1]
This entry pairs a crystal structure of Na4Ga3Ge3O16 with its theoretical powder XRD pattern. Radiation: Cu Kα X-rays. Structure: a cell relaxed with PBE.
Lines closer than 0.1° are merged.

Atomic structure:
a = 9.257 Å, b = 9.257 Å, c = 9.257 Å
α = 90.00°, β = 90.00°, γ = 90.00°
Space group P-43n (No. 218)
Inequivalent atoms, fractional coordinates:
Na  0.171  0.171  0.171 (multiplicity 8)
Ga  0.000  0.250  0.500 (multiplicity 6)
Ge  0.000  0.500  0.250 (multiplicity 6)
O  0.075  0.075  0.925 (multiplicity 8)
O  0.080  0.361  0.646 (multiplicity 24)

Peak list (8 most intense, 15 to 90 degrees two-theta, in order of falling intensity)
h k l	Position (°2θ)	Rel. int.
2 1 1	23.5	1000
2 2 2	33.5	640
3 1 0	30.5	340
3 2 1	36.3	319
4 4 0	56.2	301
6 2 2	67.1	228
4 3 1	50.3	202
5 3 0	58.1	191

---

[2]
This entry pairs a crystal structure of CuH18PdC4N4O11 with its theoretical powder XRD pattern. Radiation: Cu Kα X-rays. Structure: a cell relaxed with PBE.
Lines closer than 0.1° are merged.

Atomic structure:
a = 16.731 Å, b = 7.155 Å, c = 7.383 Å
α = 90.00°, β = 115.59°, γ = 90.00°
Space group C2 (No. 5)
Inequivalent atoms, fractional coordinates:
Cu  0.000  0.000  0.000 (multiplicity 2)
H  0.054  0.613  0.052 (multiplicity 4)
H  0.084  0.822  0.690 (multiplicity 4)
H  0.086  0.219  0.481 (multiplicity 4)
H  0.101  0.247  0.717 (multiplicity 4)
H  0.101  0.796  0.485 (multiplicity 4)
H  0.158  0.375  0.625 (multiplicity 4)
H  0.158  0.668  0.689 (multiplicity 4)
H  0.198  0.511  0.094 (multiplicity 4)
H  0.201  0.531  0.310 (multiplicity 4)
Pd  0.000  0.521  0.500 (multiplicity 2)
C  0.173  0.027  0.277 (multiplicity 4)
C  0.174  0.023  0.068 (multiplicity 4)
N  0.097  0.316  0.592 (multiplicity 4)
N  0.097  0.726  0.602 (multiplicity 4)
O  0.000  0.691  0.000 (multiplicity 2)
O  0.096  0.026  0.277 (multiplicity 4)
O  0.097  0.026  0.915 (multiplicity 4)
O  0.160  0.514  0.167 (multiplicity 4)
O  0.246  0.030  0.429 (multiplicity 4)
O  0.247  0.019  0.062 (multiplicity 4)

Peak list (8 most intense, 15 to 90 degrees two-theta, in order of falling intensity)
h k l	Position (°2θ)	Rel. int.
1 1 -1	17.3	1000
0 2 0	24.9	395
1 1 1	20.8	250
3 1 -1	21.0	236
2 0 -2	24.1	188
0 4 0	51.0	182
4 0 -2	27.0	149
0 0 2	26.8	144

---

[3]
This entry pairs a crystal structure of LaBiO4 with its theoretical powder XRD pattern. Radiation: Cu Kα X-rays. Structure: a cell relaxed with PBE.
Lines closer than 0.1° are merged.

Atomic structure:
a = 7.585 Å, b = 7.360 Å, c = 7.865 Å
α = 90.00°, β = 119.66°, γ = 90.00°
Space group P2_1/c (No. 14)
Inequivalent atoms, fractional coordinates:
La  0.139  0.157  0.275 (multiplicity 4)
Bi  0.328  0.693  0.231 (multiplicity 4)
O  0.060  0.663  0.582 (multiplicity 4)
O  0.174  0.011  0.777 (multiplicity 4)
O  0.310  0.630  0.958 (multiplicity 4)
O  0.369  0.249  0.142 (multiplicity 4)

Peak list (8 most intense, 15 to 90 degrees two-theta, in order of falling intensity)
h k l	Position (°2θ)	Rel. int.
2 1 -2	29.4	1000
0 0 2	26.1	959
0 2 1	27.5	934
2 1 0	29.7	844
2 3 -1	43.9	557
2 1 -4	47.9	525
0 2 0	24.2	516
0 2 3	46.9	350

---

[4]
This entry pairs a crystal structure of SrNdAl3O7 with its theoretical powder XRD pattern. Radiation: Cu Kα X-rays. Structure: a cell relaxed with PBE.
Lines closer than 0.1° are merged.

Atomic structure:
a = 11.175 Å, b = 11.222 Å, c = 5.241 Å
α = 90.00°, β = 90.00°, γ = 90.00°
Space group Cmm2 (No. 35)
Inequivalent atoms, fractional coordinates:
Sr  0.000  0.162  0.000 (multiplicity 4)
Nd  0.162  0.500  0.977 (multiplicity 4)
Al  0.000  0.359  0.450 (multiplicity 4)
Al  0.145  0.000  0.529 (multiplicity 4)
Al  0.250  0.250  0.492 (multiplicity 4)
O  0.000  0.000  0.654 (multiplicity 2)
O  0.000  0.370  0.784 (multiplicity 4)
O  0.000  0.500  0.295 (multiplicity 2)
O  0.126  0.293  0.301 (multiplicity 8)
O  0.153  0.000  0.197 (multiplicity 4)
O  0.216  0.123  0.686 (multiplicity 8)

Peak list (8 most intense, 15 to 90 degrees two-theta, in order of falling intensity)